
UTM Harbor Management Tool

Primary LanguagePythonGNU General Public License v3.0GPL-3.0

utmh - UTM Harbor Management Tool

utmh (UTM Harbor) is a simple project to provide ready to use images (e.g. Linux and BSD) for Apple Silicon (ARM64 based) CPUs with UTM. UTM is a QEMU based full featured system emulator and virtual machine host for iOS and macOS which allows to run Linux, BSD, Windows and several other operating systems on your iPhone, iPad and Mac. While UTM is a mac'ish app, utmh provides a server and client tool to fetch ready to use images that can be directly used without further installation or adjustments to credentials, SSH setups or similar. utmh requires a utmharbor (a repository) that serves the final images. umth is fully written in Python.

Table of Content


After switching to an ARM64 based Apple Silicon CPU my current workflow broke. While Vagrant with VirtualBox were my daily workflow, this completely broke on the new architecture. However, I searched to alternatives beside of Docker since this solution was not cappable of all features I need for developement. Unfortunately, I did not find something similar, but UTM provides a great tool for virtualizing and emulation of guest systems. It just missed a proper solution like vagrant init debian/testing, but there is already a Gallery with some usable image. However, these ones may not match the requirements for DevOps. This is where utmh becomes handy and fills the gap. All images are fully compatible with Apple Silicon CPUs and ARM64 based. However, you may also ship and use legacy AMD64 images (which is not the primary goal).


utmh is an overall name for this project which consists of a repository (utm-harbor), server tool and client tool.

  • Repository: Serves static files (images, meta files)
  • Server: Generates and updates meta files
  • Client: Downloads and manages image files


A usable utmh image consists of the image itself ($image.tgz) and the corresponding meta file ($image.yaml) that provides additional information. Therefore, it needs at least these two files:

  • bsd_freebsd_13.1_minimal_arm64.tgz - Image Artifact
  • bsd_freebsd_13.1_minimal_arm64.yaml - Image Metadata

Image Metadata Structure

  sha256: 81dcd909a6b153a131d84bafd90cb2d382ab64926ed14e60f6666ea4c88b7da7
  os_tpye: BSD
  os: FreeBSD
  version: 13.1
  type: minimal
  arch: arm64
  root-pw: Builder1337

Image Structure

Images are shipped in a compressed tar ball which includes the $imagename.utm. Mostly the given content is included in the $imagename.utm:

|-- Images
|   |-- data.qcow2
|   |-- efi_vars.fd
|-- config.plist
|-- view.plist

Image Credentials

Client Tool

Client Requirements

Installation of additional packages for Python:

pip3 install pyyaml

Client Configuration

The client configuration is stright forward and just needs a simple YAML config within the .utmh subfolder in your home directory.


# Required
server: https://utm-harbor.gyptazy.ch
port: 443
ssl_verify: true
image_path: downloads/
log: test.log

## Calculated crystals from another source follow
<<<
No. 1
Here is a geometry-optimized Co2AsH structure from Alexandria. Energies are from PBE.

Results
Space-group type: R3m, No. 160
Distance to the lowest polymorph of the same formula (meV per atom): 23

Cell lengths 2.888, 2.888, 5.703 Å; angles 75.33, 75.33, 60.00 degrees
Positions (direct):
H: 0.676 0.676 0.973
Co: 0.061 0.061 0.817
Co: 0.266 0.266 0.202
As: 0.497 0.497 0.508

=====

No. 2
Here is a geometry-optimized MnAgH2 structure from Alexandria. Energies are from PBE.

Results
Space-group type: Fm-3m, No. 225
Distance to the lowest polymorph of the same formula (meV per atom): 497

Cell lengths 3.816, 3.816, 3.816 Å; angles 60.00, 60.00, 60.00 degrees
Positions (direct):
Mn: 0.000 0.000 0.000
H: 0.250 0.250 0.250
H: 0.750 0.750 0.750
Ag: 0.500 0.500 0.500

=====

No. 3
Here is a geometry-optimized LuThCdNi structure from Alexandria. Energies are from PBE.

Results
E_form (kcal/mol of atoms): -3.37
Space-group type: F-43m, No. 216

Cell lengths 5.107, 5.107, 5.107 Å; angles 60.00, 60.00, 60.00 degrees
Positions (direct):
Cd: 0.750 0.750 0.750
Lu: 0.000 0.000 0.000
Th: 0.500 0.500 0.500
Ni: 0.250 0.250 0.250

=====

No. 4
Here is a geometry-optimized KHg2Br structure from Alexandria. Energies are from PBE.

Results
ΔE_f (raw) (kJ per mole of atoms): -69
Space-group type: F-43m, No. 216
Distance to the lowest polymorph of the same formula (meV per atom): 52

Cell lengths 5.770, 5.770, 5.770 Å; angles 60.00, 60.00, 60.00 degrees
Positions (direct):
K: 0.750 0.750 0.750
Hg: 0.250 0.250 0.250
Hg: 0.000 0.000 0.000
Br: 0.500 0.500 0.500

=====

Result set for Fermi-level density of states: 1.02 0.62 0.95 0.00 states/eV/atom, one per record in the order listed.

=====

Version i
This record from the Alexandria database describes a relaxed structure of TlPb2Au. The functional is GGA-PBE.

Calculated values
**Magnetic moment**: 0.0 μB per formula unit
**Space-group type**: Pm, No. 6

a b c (Å): 4.4754 3.5983 7.2517
angles (deg): 75.82 90.00 90.00
Positions (direct):
Pb  0.0000  0.9641  0.9492
Pb  0.5000  0.3108  0.2464
Au  0.5000  0.5416  0.7959
Tl  0.0000  0.6834  0.5085


Version ii
This record from the Alexandria database describes a relaxed structure of TlPb2Au. The functional is GGA-PBE.

Calculated values
**Magnetic moment**: 0.0 μB per formula unit
**Space-group type**: Cm, No. 8

a b c (Å): 6.4375 6.4375 6.1955
angles (deg): 58.27 58.27 32.35
Positions (direct):
Tl  0.5435  0.5435  0.5167
Au  0.2658  0.2658  0.1019
Pb  0.7387  0.7387  0.7543
Pb  0.9520  0.9520  0.1272


Version iii
This record from the Alexandria database describes a relaxed structure of TlPb2Au. The functional is GGA-PBE.

Calculated values
**Magnetic moment**: 0.0 μB per formula unit
**Space-group type**: I4/mmm, No. 139

a b c (Å): 5.6183 5.6183 5.6183
angles (deg): 127.42 127.42 77.57
Positions (direct):
Au  0.7500  0.2500  0.5000
Pb  0.5000  0.5000  0.0000
Pb  0.0000  0.0000  0.0000
Tl  0.2500  0.7500  0.5000
>>>

# Optional for image uploads
user: gyptazy
password: 1SomE_cRaZy_PaSsWoRd1
Option Value Description
server https://utm-harbor.gyptazy.ch HTTP(s) URI to remote repositoy
port 443 TCP Port to use (if repository server is running on uncommon port)
ssl_verify true Disable/enable SSL verify
image_path downloads/ Path to download/save images
log test.log Path to log file
user $username Username to use for uploading images
password $password Password to use for uploading images

By default, the https://utm-harbor.gyptazy.ch mirror will be used and can be adjusted to any other. ssl-verify allows you to skip further SSL validation on self signed certificates.

Client Usage

This chapter briefly describes all options of the utmh client tool.

List Images

All present images on the configured repository can be listed by utmh list.


$> utmh list
BSD   | FreeBSD | 13.1     | Minimal | ARM64
BSD   | NetBSD  | 9.2      | Minimal | ARM64
Linux | Debian  | Bullseye | Minimal | ARM64

Download Images

Images can be downloaded by using the utmh download $imagename command. By default, the registry from the config file will be used.

# Next to the article, the page also holds materials data
~~~
DFT (PBE) results for a relaxed structure of TmGaSn2.

## Properties
- Energy of formation: -0.65 eV per formula unit
- Polymorph energy (0 for the lowest one): 246 meV per atom
- Density of states at the Fermi level: 2.55 states/eV per cell

Cell: 5.646 5.646 5.646 Å, 51.39 51.39 51.39°
Positions (direct):
Tm 0.000 0.000 0.000
Ga 0.500 0.500 0.500
Sn 0.230 0.230 0.230
Sn 0.770 0.770 0.770

DFT (PBE) results for a relaxed structure of Tm3Ga2Sn2.

## Properties
- Energy of formation: -4.06 eV per formula unit
- Density of states at the Fermi level: 3.74 states/eV per cell

Cell: 9.823 9.823 9.823 Å, 155.21 154.72 35.70°
Positions (direct):
Tm 0.000 0.000 0.000
Tm 0.182 0.682 0.500
Tm 0.818 0.318 0.500
Ga 0.436 0.436 0.000
Ga 0.564 0.564 0.000
Sn 0.347 0.847 0.500
Sn 0.653 0.153 0.500

DFT (PBE) results for a relaxed structure of Tm4Ga5Sn.

## Properties
- Energy of formation: -5.29 eV per formula unit
- Density of states at the Fermi level: 4.70 states/eV per cell

Cell: 7.550 7.550 7.550 Å, 147.02 95.83 93.42°
Positions (direct):
Tm 0.224 0.224 0.000
Tm 0.308 0.000 0.308
Tm 0.692 0.000 0.692
Tm 0.776 0.776 0.000
Ga 0.035 0.314 0.721
Ga 0.407 0.686 0.721
Ga 0.500 0.500 0.000
Ga 0.593 0.314 0.279
Ga 0.965 0.686 0.279
Sn 0.000 0.500 0.500

DFT (PBE) results for a relaxed structure of Tm4GaSn2.

## Properties
- Energy of formation: -3.93 eV per formula unit
- Density of states at the Fermi level: 5.37 states/eV per cell

Cell: 6.087 6.087 8.692 Å, 121.67 121.67 44.83°
Positions (direct):
Tm 0.080 0.080 0.377
Tm 0.329 0.329 0.944
Tm 0.671 0.671 0.056
Tm 0.920 0.920 0.623
Ga 0.000 0.000 0.000
Sn 0.343 0.343 0.331
Sn 0.657 0.657 0.669

DFT (PBE) results for a relaxed structure of UGaSn2.

## Properties
- Energy of formation: -0.69 eV per formula unit
- Polymorph energy (0 for the lowest one): 0 meV per atom
- Density of states at the Fermi level: 6.39 states/eV per cell

Cell: 4.470 4.470 4.609 Å, 90.00 90.00 90.00°
Positions (direct):
U 0.000 0.000 0.000
Ga 0.500 0.500 0.000
Sn 0.000 0.500 0.500
Sn 0.500 0.000 0.500

DFT (PBE) results for a relaxed structure of UGa4Sn.

## Properties
- Energy of formation: 0.19 eV per formula unit
- Density of states at the Fermi level: 7.41 states/eV per cell

Cell: 5.557 5.557 5.557 Å, 60.00 60.00 60.00°
Positions (direct):
U 0.000 0.000 0.000
Ga 0.375 0.375 0.375
Ga 0.375 0.375 0.875
Ga 0.375 0.875 0.375
Ga 0.875 0.375 0.375
Sn 0.750 0.750 0.750

DFT (PBE) results for a relaxed structure of U4Ga12Sn.

## Properties
- Energy of formation: -2.38 eV per formula unit
- Density of states at the Fermi level: 25.63 states/eV per cell

Cell: 7.579 7.579 7.579 Å, 109.47 109.47 109.47°
Positions (direct):
U 0.000 0.000 0.500
U 0.000 0.500 0.000
U 0.500 0.000 0.000
U 0.500 0.500 0.500
Ga 0.000 0.315 0.315
Ga 0.000 0.685 0.685
Ga 0.250 0.500 0.750
Ga 0.250 0.750 0.500
Ga 0.315 0.000 0.315
Ga 0.315 0.315 0.000
Ga 0.500 0.250 0.750
Ga 0.500 0.750 0.250
Ga 0.685 0.000 0.685
Ga 0.685 0.685 0.000
Ga 0.750 0.250 0.500
~~~


$> utmh download bsd_freebsd_13.1_minimal_arm64
Downloading bsd_freebsd_13.1_minimal_arm64...
Received OK: bsd_freebsd_13.1_minimal_arm64
SHA256 OK: 81dcd909a6b153a131d84bafd90cb2d382ab64926ed14e60f6666ea4c88b7da7
Unpackaged: bsd_freebsd_13.1_minimal_arm64.tgz
Ready to use.

Upload Images

Images can be uploaded by using the utmh upload $imagename command. By default, the registry from the config file will be used. Uploading an image requires to provide the image itself ($image.tgz) and the corresponding meta file ($image.yaml) that provides additional information. Suffixes like .tgz and .yaml will automatically be processed.


$> utmh upload bsd_freebsd_13.1_minimal_arm64
Uploading bsd_freebsd_13.1_minimal_arm64...
Received OK: bsd_freebsd_13.1_minimal_arm64
SHA256 OK: 81dcd909a6b153a131d84bafd90cb2d382ab64926ed14e60f6666ea4c88b7da7
Ready to use.

Remove (local) Images

Images can be removed from local storage by using the utmh remove $imagename command.


$> utmh remove bsd_freebsd_13.1_minimal_arm64
Removed OK: bsd_freebsd_13.1_minimal_arm64

Note: Images will be removed directly without further prompt.

Start Images

Currently there is no possibility in UTM (upstream) to run images in headless mode, nor any cli tools for managing. As soon as there is any possibility this will be included.

Stop Images

Currently there is no possibility in UTM (upstream) to run images in headless mode, nor any cli tools for managing. As soon as there is any possibility this will be included.

Server Tool (utm-harbor)

Server Requirements

The utm-harbor can serve the image and metadata itself or use an already present webserver like Apache, nginx or something similar. Since there are only static files no further configuration will be needed. The repository index will be updated by server tool and only needs the permissions to write within the given htdocs. Next to it, Python3 will be needed.

Server Repository Structure

Within the htdocs the following structure is given:

├── credentials
│   ├── rootpw
│   ├── utm_harbor_generic
│   └── utm_harbor_generic.pub
├── images
│   ├── bsd_freebsd_13.1_minimal_arm64.tgz
│   ├── bsd_freebsd_13.1_minimal_arm64.yaml
│   ├── bsd_netbsd_9.2_minimal_arm64.tgz
│   ├── bsd_netbsd_9.2_minimal_arm64.yaml
│   ├── linux_archlinux_rolling_minimal_arm64.tgz
│   ├── linux_archlinux_rolling_minimal_arm64.yaml
│   ├── linux_centos_stream_9_minimal_arm64.tgz
│   ├── linux_centos_stream_9_minimal_arm64.yaml
│   ├── linux_debian_bullseye_minimal_arm64.tgz
│   ├── linux_debian_bullseye_minimal_arm64.yaml
│   ├── linux_debian_testing_minimal_arm64.tgz
│   ├── linux_debian_testing_minimal_arm64.yaml
│   ├── linux_gardenlinux_kvm-dev_arm64.tgz
│   ├── linux_gardenlinux_kvm-dev_arm64.yaml
│   ├── linux_ubuntu_22.04_minimal_arm64.tgz
│   ├── linux_ubuntu_22.04_minimal_arm64.yaml
│   └── [...]
├── INDEX.yaml
└── README.txt


The credentials folder may contain the following static file names:

### Materials data, as found in the file
'''
# 1
La2Tb | PBE-GGA | relaxed

abc: 8.1816 8.1816 8.1816
angles: 153.85 153.85 37.32
With the nearest neighbours (Å) after each atom.
Element x y z (fractional)
La1 0.1643 0.1643 0.0000  4 Tb 3.65, 8 La 3.70-3.73
La2 0.8357 0.8357 0.0000  4 Tb 3.65, 8 La 3.70-3.73
Tb1 0.5000 0.5000 0.0000  8 La 3.65, 4 Tb 3.70

Computed properties:
relative energy among the computed polymorphs: 0.003 eV per atom
E_form: 0.03 eV per atom
symmetry: No. 139

# 2
PaAs2Pd2Rh | PBE-GGA | relaxed

abc: 3.9086 7.9050 6.9986
angles: 90.00 90.00 90.00
With the nearest neighbours (Å) after each atom.
Element x y z (fractional)
Pa1 0.0000 0.0829 0.0000  4 Rh 2.88-3.09, 5 As 2.89-3.10, 1 Pd 3.13
Pa2 0.0000 0.9171 0.5000  4 Rh 2.88-3.09, 5 As 2.89-3.10, 1 Pd 3.13
As1 0.0000 0.4038 0.7776  4 Pd 2.47-2.61
As2 0.0000 0.5962 0.2776  4 Pd 2.47-2.61
As3 0.5000 0.1591 0.2923  3 Pd 2.51-2.80, 1 Rh 2.55
As4 0.5000 0.8409 0.7923  3 Pd 2.51-2.80, 1 Rh 2.55
Pd1 0.0000 0.3092 0.4419  4 As 2.47-2.54
Pd2 0.0000 0.6908 0.9419  4 As 2.47-2.54
Pd3 0.5000 0.4213 0.0238  3 As 2.61-2.80
Pd4 0.5000 0.5787 0.5238  3 As 2.61-2.80
Rh1 0.5000 0.1557 0.7099  3 As 2.55-2.81
Rh2 0.5000 0.8443 0.2099  3 As 2.55-2.81

Computed properties:
E_form: -0.61 eV per atom
symmetry: No. 26

Q: E_form of number 1 (La2Tb)?
A: 0.03 eV per atom

Q: Which of these has the lowest E_form?
A: PaAs2Pd2Rh

Q: What is the E_form in the second record?
A: -0.61 eV per atom

~~~~~

No. 1
First-principles (PBE) data for La2Y2Os after structural relaxation, as listed in the Alexandria database.

a b c (Å): 7.2785 7.2785 5.7043
angles (deg): 90.00 90.00 90.00
Last column: nearest neighbours and their distance in Å.
Element x y z (fractional)
La: 0.1546 0.3454 0.0000  2 Os 2.75
La: 0.3454 0.8454 0.0000  2 Os 2.75
La: 0.6546 0.1546 0.0000  2 Os 2.75
La: 0.8454 0.6546 0.0000  2 Os 2.75
Y: 0.1705 0.6705 0.5000  6 La 3.37-3.71, 1 Y 3.51
Y: 0.3295 0.1705 0.5000  6 La 3.37-3.71, 1 Y 3.51
Y: 0.6705 0.8295 0.5000  6 La 3.37-3.71, 1 Y 3.51
Y: 0.8295 0.3295 0.5000  6 La 3.37-3.71, 1 Y 3.51
Os: 0.0000 0.0000 0.0000  4 La 2.75
Os: 0.5000 0.5000 0.0000  4 La 2.75

Computed properties:
ΔH_f (0 K) = 0.218 eV per atom
crystal system = tetragonal
theoretical density = 7.10 g/cm3

No. 2
First-principles (PBE) data for La3YOs after structural relaxation, as listed in the Alexandria database.

a b c (Å): 5.6557 5.6557 5.6557
angles (deg): 90.00 90.00 90.00
Last column: nearest neighbours and their distance in Å.
Element x y z (fractional)
La: 0.0000 0.0000 0.5000  2 Os 2.83
La: 0.0000 0.5000 0.0000  2 Os 2.83
La: 0.5000 0.0000 0.0000  2 Os 2.83
Y: 0.5000 0.5000 0.5000  12 La 4.00
Os: 0.0000 0.0000 0.0000  6 La 2.83

Computed properties:
ΔH_f (0 K) = 0.033 eV per atom
crystal system = cubic
theoretical density = 6.39 g/cm3

No. 3
First-principles (PBE) data for La3YOs after structural relaxation, as listed in the Alexandria database.

a b c (Å): 5.5011 5.5011 5.5011
angles (deg): 90.00 90.00 90.00
Last column: nearest neighbours and their distance in Å.
'''

  • rootpw - This provides the default root password for images
  • utm_harbor_generic - The private SSH key
  • utm_harbor_generic.pub - The public SSH key


The images folder provides the images itself, as well as their metadata. All metadata will be slurped by the server tool and written out to the INDEX.yaml.


This file contains all information of the single images and their metadata and will be used as the source of truth. This file is consumed by the clients and indicates the present images and their configuration.

Server Configuration

The server configuration is stright forward and just needs a simple YAML config.


srv_engine: nginx
srv_root: /var/www/utm-harbor.gyptazy.ch/htdcos/
log: /var/log/utmh-server.log

Server Usage

The utmh-server generate -c $server-config.yaml commands creates the new repo index (INDEX.yaml) and should be performed at least after every new image upload. When running a setup with multiple users that may upload images, you may want to run this periodically by a cronjob or systemd-timer.

Cronjob Example:

*/5 * * * * $user /opt/utmh-server generate -c /opt/server-config.yaml

Public Repositories

Attached a short overview of public repositories that can be used as an image regestry:

Server Port SSL Location Operator
utm-harbor.gyptazy.ch 443 True Frankfurt, Germany @gyptazy

Bugs & Issues

Bugs and Issues can be directly reported for any kind of issue on the Projects Issue Tracker. Feel free to request new features or to provide further feedback.


Currently, this project is a one man show. If you want to get in touch with me, you may contact me via my contact formular on https://gyptazy.ch/#contacts-e. You can also contact me via encrypted mails by using GPG.